Biometric Survey

Biometric Industry Survey

We need your help. As you well know, information from within the biometric 
industry is worth its weight in gold. We are soliciting your thoughts on several 
topics of critical interest to the biometric community. They are summarized 
into just 8 questions. Please take two minutes to complete the survey, if you 
have not yet done so.  

Just click on the web address below to complete the form. -  A sincere thanks 
for your input. 



Computed, not measured: a relaxed MnAl2BiS6 crystal at the PBE level of DFT.

Cell and atoms, written as POSCAR:
```
MnAl2BiS6
1.0
-6.302 -0.150 -1.424
-0.856 -8.269 -0.607
-2.938 -0.458 7.787
S Bi Al Mn
12 2 4 2
Cartesian
-4.491 -7.306 1.895 S
-1.477 -5.155 0.641 S
-8.617 -3.722 5.115 S
-7.726 -6.946 6.225 S
-2.323 -2.520 3.160 S
-5.951 -0.386 0.560 S
-5.603 -1.571 3.861 S
-2.369 -1.930 -0.469 S
-5.115 -3.938 1.005 S
-4.143 -8.491 5.196 S
-7.772 -6.357 2.597 S
-4.979 -4.939 4.752 S
-2.641 -7.518 -0.116 Bi
-7.454 -1.359 5.872 Bi
-6.378 -2.246 1.836 Al
-2.885 -3.454 1.170 Al
-7.209 -5.423 4.587 Al
-3.717 -6.631 3.920 Al
-6.167 -6.186 0.685 Mn
-3.928 -2.691 5.071 Mn
```

Biometric Industry Survey


What do you think about the biometric industry?Do you feel there should be 
a designated spokesperson or organization for the biometric industry? Who should 
that be? How do you perceive the media is treating the industry today? Do you 
feel some vendors are overstating their product effectiveness and value to 
the market? What do you feel are the primary deterrents to biometrics today? 
Should biometric newsletters in the industry report on the negative aspects 
of biometrics? What is most needed in the biometric industry today? These are 
just a few of the questions asked in our current survey distributed just this 
past Friday. If you have not yet completed your response, please do so right 
away. We will be glad to send you the results. Just click on the following 
web address or cut and paste this into your browser.


The survey has 8 questions and we will be glad to furnish you with your personal 
copy of the results.  This is not a scientific type survey, but just an opinion 
survey.  Please give us your thoughts and opinions on these subjects. We asked 
some of these questions in our January 2002 survey. We will compare the answers 
received today back against those received in January 2002. Is the industry 
thinking the same today as it did almost two years ago?  We hope to find out.


To complete the survey information, please click on the following wed address 
or cut and past this into your web browser. It will take you less than two 
minutes to complete





Biometric Conference Slides Available on CD

If you missed the two-day Biometric Summit in February 2003 in Miami Beach, 
you’re in luck. The power point slides from all 16 sessions, biographies of 
speakers, handouts, hyperlinks to vendor web sites, two years worth of biometric 
newsletters, 869 pages in total and all in full color are now available on 
a CD. The availability of the full conference perfectly captures the attitude 
of the presentations at a very affordable cost. Download information and an 
order form from:








Bill Rogers

Publisher, Biometric Digest




- - - -
Bill Rogers
Biometric Digest & Biometric Media Weekly
P.O. Box 510047
St. Louis, MO  63151-0047
Tel: 314-892-8632;  Fax: 314-487-5198

Received on Monday, 20 October 2003 14:03:06 UTC